RE: Where are the semantics in the semantic Web?

> [Shi, Xuan]

> To answer your question "And what happened to the problems of logic(s)?",
> could you please tell me if SW people agree that there are many other
> "semantics" besides logic(s)? 

This is the problem with the way "semantics" is used in this
community.  People think we actually have something to say about
semantics.  But we'd be nuts to claim that.  The only sort of
semantics the SW depends on is exactly the sort of standards-based
approach you advocate.  Ultimately, a symbol means what everyone in
the relevant committee agrees it means, and what the rest of us take
their description of its meaning to be.  This mechanism isn't going to
account for the deeper sorts of meaning explored by Veltman in his (or
is it her?) paper, but so what?  We're trying to get the Web
infrastructure to help us do some fairly mundane tasks: ordering
stuff, getting information, arranging schedules, and such.  There are
all sorts of obstacles to achieving this, but agreeing on the meanings
of terms is not one of them.

Misplaced calculated crystals =
┌──
Starting from a structure optimized by DFT (GGA+U), the powder diffraction line list of LaEu3Ni4O12 was simulated for Cu Kα, 1.54184 Å.

Most intense lines, 10° ≤ 2θ ≤ 90°, sorted by position:
(0 0 2), 2θ = 32.78°, I = 18; (2 0 0), 2θ = 32.99°, I = 100; (2 0 -2), 2θ = 47.04°, I = 10; (2 0 2), 2θ = 47.28°, I = 10; (0 4 0), 2θ = 47.57°, I = 11; (3 2 -1), 2θ = 58.77°, I = 14; (3 2 1), 2θ = 58.96°, I = 16; (2 4 0), 2θ = 59.08°, I = 9

Structural model:
```
data_LaEu3Ni4O12
_cell_length_a 5.438
_cell_length_b 7.646
_cell_length_c 5.464
_cell_angle_alpha 90.00
_cell_angle_beta 90.28
_cell_angle_gamma 90.00
_space_group_name_H-M_alt 'P 1 m 1'
_space_group_IT_number 6
loop_
_space_group_symop_operation_xyz
'x,y,z'
'x,-y,z'
loop_
_atom_site_label
_atom_site_fract_x
_atom_site_fract_y
_atom_site_fract_z
La1 0.000 0.000 0.000
Eu1 0.483 0.000 0.505
Eu2 0.501 0.500 0.415
Eu3 0.983 0.500 0.915
Ni1 0.492 0.252 0.961
Ni2 0.992 0.251 0.460
O1 0.074 0.500 0.477
O2 0.206 0.212 0.746
O3 0.284 0.208 0.254
O4 0.410 0.500 0.977
O5 0.563 0.000 0.943
O6 0.703 0.293 0.670
O7 0.783 0.295 0.170
O8 0.909 0.000 0.452
```


Starting from a structure optimized by DFT (GGA+U), the powder diffraction line list of EuMgMnO3 was simulated for Cu Kα, 1.54184 Å.

Most intense lines, 10° ≤ 2θ ≤ 90°, sorted by position:
(1 0 0), 2θ = 22.55°, I = 27; (0 0 2), 2θ = 25.62°, I = 79; (1 0 1), 2θ = 25.98°, I = 100; (1 1 0), 2θ = 32.10°, I = 51; (1 1 2), 2θ = 41.51°, I = 50; (2 0 0), 2θ = 46.03°, I = 30; (2 0 2), 2θ = 53.42°, I = 38; (2 1 1), 2θ = 53.61°, I = 28

Structural model:
```
data_EuMgMnO3
_cell_length_a 3.943
_cell_length_b 3.943
_cell_length_c 6.954
_cell_angle_alpha 90.00
_cell_angle_beta 90.00
_cell_angle_gamma 90.00
_space_group_name_H-M_alt 'P 4/m m m'
_space_group_IT_number 123
_space_group_name_Hall '-P 4 2'
loop_
_atom_site_label
_atom_site_fract_x
_atom_site_fract_y
_atom_site_fract_z
Eu1 0.000 0.000 0.000
Mg1 0.000 0.000 0.500
Mn1 0.500 0.500 0.500
O1 0.000 0.500 0.500
O2 0.500 0.500 0.000
```


Starting from a structure optimized by DFT (GGA+U), the powder diffraction line list of EuMgSnWO6 was simulated for Cu Kα, 1.54184 Å.

Most intense lines, 10° ≤ 2θ ≤ 90°, sorted by position:
(1 1 1), 2θ = 19.16°, I = 29; (2 2 0), 2θ = 31.54°, I = 100; (3 1 1), 2θ = 37.16°, I = 16; (4 0 0), 2θ = 45.20°, I = 31; (3 3 1), 2θ = 49.52°, I = 7; (4 2 2), 2θ = 56.16°, I = 41; (4 4 0), 2θ = 65.85°, I = 19; (6 2 0), 2θ = 74.84°, I = 18

Structural model:
```
data_EuMgSnWO6
_cell_length_a 8.024
_cell_length_b 8.024
_cell_length_c 8.024
_cell_angle_alpha 90.00
_cell_angle_beta 90.00
_cell_angle_gamma 90.00
_space_group_name_H-M_alt 'F -4 3 m'
_space_group_IT_number 216
_space_group_name_Hall 'F -4 2 3'
loop_
_atom_site_label
_atom_site_fract_x
_atom_site_fract_y
_atom_site_fract_z
Eu1 0.000 0.000 0.000
Mg1 0.250 0.250 0.750
Sn1 0.000 0.000 0.500
W1 0.250 0.250 0.250
O1 0.007 0.250 0.250
```
└──
Here the article continues =

When you ask '[are there] many other "semantics" besides logic(s)?',
the response is that logic is not semantics.  I thought you were
saying something similar when you suggested we call it the "logic
web"; I'd prefer "inferential web," but I agree with the idea.
"Semantic web" is catchy, but deeply misleading. All it means is that
web sites will behave as if they had a better grasp of what the
symbols on them mean than they seem to now. This is a purely informal
notion which just won't bear the weight you want to put on it. In
particular, no one (I hope) believes that the mechanisms to be used in
the SW will provide an adequate, let alone a novel or powerful, theory
of how meaning works for people.

> If this is true, then the problem of SW
> technology is it may ignore many other "semantics" except the logic(s). For
> example, "Forest" or "Swamp land" can be defined by different organizations.
> The meaning of "road" may be different in Europe from the same concept in
> USA. Even in GIS, a "road" is visualized using its center line, and you can
> see the problem as many roads have double lanes, or multiple lanes. So a
> single center line is problematic. What about a section of the road that
> shares multiple road names? How about you define an ontology of color, which
> can be defined by different ways, such as RGB, HSB, CMYK, or Hex code, or
> just natural name, then is it worthy to use logic(s) to matchmake the same
> color in different definition? If you would like to create such a color
> ontology using RDF/OWL, you may wish to give up due to its complexity and
> troublesome or unforseenable possiblities, such as "Aqua" and "Cyan" produce
> the same color but not all color defined by RGB, HSB, CMYK can get a name.

You must be kidding.  Aren't there standards committees settling
exactly these questions about colors?  Do they need a philosopher to
help them out by providing insights into meaning?

-- Crystal structures, as found in the file --
+++
# 1
Diffraction record for KIn4Hg2. The powder diffractogram is simulated, not measured: it uses a structure optimized by DFT (PBE) and copper Kα.

Largest 12 diffraction maxima, low angle first, 2θ from 10° to 90°:
d [Å]	I (rel.)	h k l
4.751	32	0 0 1
4.505	44	1 1 0
3.269	19	1 1 1
2.934	84	1 3 1
2.922	20	1 5 0
2.616	24	0 6 1
2.489	100	1 5 1
2.376	37	0 0 2
2.350	22	0 8 0
2.321	48	2 0 0
1.660	33	2 0 2
1.326	20	1 13 1

Cell and atoms:
Unit cell a=4.6398 b=18.8032 c=4.7512 alpha=90.00 beta=90.00 gamma=90.00
Space group Cmmm (No. 65)
One atom of each set of equivalent atoms:
K (0.0000, 0.0000, 0.0000) [2 per cell]
In (0.0000, 0.1885, 0.5000) [4 per cell]
In (0.0000, 0.3143, 0.0000) [4 per cell]
Hg (0.0000, 0.4216, 0.5000) [4 per cell]

***

# 2
Diffraction record for KIn6Hg2. The powder diffractogram is simulated, not measured: it uses a structure optimized by DFT (PBE) and copper Kα.

Largest 12 diffraction maxima, low angle first, 2θ from 10° to 90°:
d [Å]	I (rel.)	h k l
4.637	33	1 0 0
4.333	27	1 0 1
3.052	18	1 0 3
2.886	78	1 1 2
2.548	100	1 1 3
2.433	24	0 0 5
2.318	59	2 0 0
1.678	31	2 0 5
1.639	20	2 2 0
1.425	17	3 1 2
1.379	42	1 1 8
1.360	15	2 2 5

Cell and atoms:
Unit cell a=4.6367 b=4.6367 c=12.1644 alpha=90.00 beta=90.00 gamma=90.00
Space group P4/mmm (No. 123)
One atom of each set of equivalent atoms:
K (0.0000, 0.0000, 0.0000) [1 per cell]
In (0.0000, 0.0000, 0.5000) [1 per cell]
In (0.0000, 0.5000, 0.2952) [4 per cell]
In (0.5000, 0.5000, 0.5000) [1 per cell]
Hg (0.5000, 0.5000, 0.1216) [2 per cell]

***

# 3
Diffraction record for K2In5Hg5. The powder diffractogram is simulated, not measured: it uses a structure optimized by DFT (PBE) and copper Kα.

Largest 12 diffraction maxima, low angle first, 2θ from 10° to 90°:
d [Å]	I (rel.)	h k l
5.516	71	0 1 1
3.185	22	0 2 0
2.707	100	1 1 3
2.569	31	2 0 0
2.430	69	1 2 2
2.329	17	2 1 1
1.731	26	1 3 3
1.592	20	0 4 0
1.508	17	3 1 3
1.455	14	3 2 2
1.354	24	2 4 0
1.172	14	1 5 3

Cell and atoms:
Unit cell a=5.1381 b=6.3678 c=11.0368 alpha=90.00 beta=90.00 gamma=90.00
Space group Pmmm (No. 47)
One atom of each set of equivalent atoms:
K (0.0000, 0.0000, 0.0000) [1 per cell]
K (0.0000, 0.5000, 0.5000) [1 per cell]
In (0.5000, 0.0000, 0.5000) [1 per cell]
In (0.5000, 0.2473, 0.2441) [4 per cell]
Hg (0.0000, 0.0000, 0.3346) [2 per cell]
Hg (0.0000, 0.5000, 0.1799) [2 per cell]
Hg (0.5000, 0.5000, 0.0000) [1 per cell]

***

# 4
Diffraction record for K3In4Hg4. The powder diffractogram is simulated, not measured: it uses a structure optimized by DFT (PBE) and copper Kα.

Largest 12 diffraction maxima, low angle first, 2θ from 10° to 90°:
d [Å]	I (rel.)	h k l
6.485	71	1 1 0
4.585	44	2 0 0
3.744	32	2 1 1
3.242	53	2 2 0
2.900	74	3 1 0
2.451	73	3 2 1
2.162	100	3 3 0
1.955	23	3 3 2
1.798	19	4 3 1
1.488	43	6 1 1
1.383	19	6 2 2
1.248	28	7 2 1

Cell and atoms:
Unit cell a=9.1705 b=9.1705 c=9.1705 alpha=90.00 beta=90.00 gamma=90.00
Space group I-43m (No. 217)
One atom of each set of equivalent atoms:
+++

Is there a serious problem about classifying roads?  I find that very
hard to believe.  I grant that different groups are likely to arrive
at ontologies that carve up the world in ways that overlap at various
unforeseen points.  That's why I've done work in ontology
translation.  Automatic inference of the rules required to translate
between ontologies is a very difficult problem.  But the rules
themselves are not terribly complicated, and in particular seem to be
straightforwardly deductive.  (I'm thinking here of, say, a rule that
translates statements about roads from a North American ontology into
a European one.)  And in any case, organizing and applying translation
rules is a computational problem, not a semantic one.

> Or if you eventually create such an ontology of color class in RDF/OWL, how
> many people can understand it? 

I detect a slight wavering on your part.  You can't really think up an
infinite number of complications for the color ontology, so you toss
in this sour-grapes remark about what the result would look like when
all the complications were ironed out.  Actually, I'm pretty sure the
problems _have_ been worked out, and I'm pretty sure very few people
can understand the resulting documents.  We can use programs based on
them anyway.  A key SW idea is that inferences can be licensed by the
agreed meanings of the terms involved in those inferences.  The
inference machine doesn't have to have read or understood any
standards documents.

> It's a pretty AI game.

How pretty, exactly?

## Someone pasted records of crystals at this point
Entry 1:
Theoretical powder XRD pattern of CdRe4Tc for copper Kα, from a crystal structure in Alexandria, relaxed with PBE.
Peak positions follow from Bragg's law for the DFT cell and can differ from measured ones.

Most intense lines, 2θ from 10° to 90°, sorted by position:
20.94°, I 31; 34.53°, I 14; 40.73°, I 100; 42.62°, I 59; 49.63°, I 14; 54.43°, I 8; 66.07°, I 32; 72.81°, I 30; 86.94°, I 12; 88.21°, I 23

Structure:
Lattice parameters (Å, degrees): 7.3478 7.3478 7.3478 90.00 90.00 90.00
Space group F-43m (No. 216)
One atom of each set of equivalent atoms:
Cd (0.0000, 0.0000, 0.0000)
Re (0.1256, 0.1256, 0.6256)
Tc (0.2500, 0.2500, 0.2500)


Entry 2:
Theoretical powder XRD pattern of Al2InBiS6 for copper Kα, from a crystal structure in Alexandria, relaxed with PBE.
Peak positions follow from Bragg's law for the DFT cell and can differ from measured ones.

Most intense lines, 2θ from 10° to 90°, sorted by position:
10.47°, I 58; 14.65°, I 77; 20.38°, I 32; 23.32°, I 30; 23.50°, I 52; 26.78°, I 100; 27.64°, I 33; 32.86°, I 63; 34.01°, I 31; 47.41°, I 37

Structure:
Lattice parameters (Å, degrees): 12.3401 11.8140 6.5864 90.00 101.52 90.00
Space group C2/c (No. 15)
One atom of each set of equivalent atoms:
Al (0.1895, 0.0856, 0.2954)
In (0.0000, 0.2127, 0.7500)
Bi (0.0000, 0.3984, 0.2500)
S (0.1222, 0.4001, 0.6558)
S (0.1285, 0.2409, 0.1051)
S (0.1394, 0.0748, 0.6110)


Entry 3:
Theoretical powder XRD pattern of Dy2AgGe2 for copper Kα, from a crystal structure in Alexandria, relaxed with PBE.
Peak positions follow from Bragg's law for the DFT cell and can differ from measured ones.

Most intense lines, 2θ from 10° to 90°, sorted by position:
27.95°, I 12; 32.67°, I 48; 35.07°, I 100; 35.57°, I 11; 39.93°, I 34; 42.24°, I 22; 57.41°, I 16; 58.98°, I 11; 59.53°, I 20; 72.59°, I 12

Structure:
Lattice parameters (Å, degrees): 7.1391 7.1391 8.5581 90.00 90.00 90.00
Space group P4/mnc (No. 128)
One atom of each set of equivalent atoms:
Dy (0.1756, 0.3245, 0.0000)
Ag (0.0000, 0.0000, 0.2495)
Ge (0.1264, 0.6264, 0.2500)


Entry 4:
Theoretical powder XRD pattern of Ba6Bi2NO for copper Kα, from a crystal structure in Alexandria, relaxed with PBE.
Peak positions follow from Bragg's law for the DFT cell and can differ from measured ones.

Most intense lines, 2θ from 10° to 90°, sorted by position:
27.78°, I 100; 32.18°, I 57; 46.16°, I 42; 54.69°, I 31; 54.81°, I 15; 57.38°, I 14; 74.26°, I 6; 74.36°, I 13; 76.54°, I 13; 85.47°, I 10

Structure:
Lattice parameters (Å, degrees): 7.8740 7.8740 11.1045 90.00 90.00 90.00
Space group I4/mmm (No. 139)
One atom of each set of equivalent atoms:
Ba (0.0000, 0.0000, 0.2485)
Ba (0.2484, 0.2484, 0.0000)
Bi (0.0000, 0.5000, 0.2500)
N (0.0000, 0.0000, 0.0000)
O (0.0000, 0.0000, 0.5000)


1.
For DyEr2Tm4Te2Pd2, a structure optimized by DFT (GGA-PBE) gives the theoretical powder diffractogram in this record (Cu Kα (weighted mean of Kα1 and Kα2)).


                                         -- Drew McDermott
                                            Yale University
                                            Computer Science Department

Received on Wednesday, 23 November 2005 23:25:21 UTC